How to work with spring annotations in large applications? - spring

If you are starting a Spring project, you may know where you have placed the #controller, #requestmapping annotations and other annotations and the corresponding controller class.
Lets say few months down the line a new developer comes into your team, how would he figure out which classes to work with? Because unlike the xml based approach where all the configurations is centrally located in an config.xml file, we don't have nothing of that sort with annotation as per my knowledge (I am new to spring), we write the respective annotations in a class itself.

In Spring, two ways to define your configuration :
Either in a XML file or
Java class
So just like xml, in Java also you need to create a configuration class which will have all the required configurations details. You can define all of your beans, filters etc here.
For example , You create a configuration class MvcConfig with the below annotations
#EnableAspectJAutoProxy(proxyTargetClass = true)
#ComponentScan(basePackages = {""})
Now your base package is In all the applications, the best practice is to keep all of you controller\service\DAO classes in specific packages like
Controller :,
Service :,
So anybody who comes in will know where are all the respective classes located and from where to start.
Example configuration class :
#EnableAspectJAutoProxy(proxyTargetClass = true)
#ComponentScan(basePackages = {""})
public class MvcConfig extends WebMvcConfigurerAdapter


Sping-boot configuration-properties and service layer injection

I'm new to spring dependency-injection and am reaching out to learn about best practices. I would like to know if its a good design philosophy to inject classes annotated with #ConfigurationProperties into service layer classes (annotated with #Service). Im trying to map properties in my application.yml to a config-class as follows -
#ConfigurationProperties(prefix = "application")
class ApplicationConfig(
val kafka: someDeeplyNestedType = SomeDeeplyNestedObj()
) {
// helper functions
I'm then injecting above config class in service layer as follows -
class RestService(val config: ApplicationConfig) {
init {
// Reference config object
// Reference application.yml properties via config object.
I'm curious to know if I can improve upon my current implementation - not sure if its agreeable to pass configuration classes to service-layer classes. I'm also curious to know if theres any better approach to wiring ApplicationConfig without needing to use EnableConfigurationProperties annotation.
It is agreeable, documented, and probably "unrivaled" (only bounded by: "limitations" (no SpEL -> helper functions!?;)).
To work with #ConfigurationProperties beans, you can inject them in the same way as any other bean, as shown in the following example:
public class MyService {
private final SomeProperties properties;
The only problems can arise from the "deeply", not "owning" the (config) structure ...and possibliy from "helper functions".
The prefix = "application" "sounds" suspicious!
[Most - almost All] (official) spring* boot properties, are already "typesafe", and have their object/class representation in spring-boot-autoconfigure packages.
Please study that "typesafe chapter", but also gazing at PropertySource Abstraction.
There is no hard rule for this as in Spring Boot we can add #EnableConfigurationProperties at a class level with stereotype annotations.
As a part of good practices EnableConfigurationProperties or any configuration thing should be part of Configuration class of or main spring boot class so any developer can easily figure out those configuration instead of going any specific service class and then check.
In your case, yo can use #EnableConfigurationProperties annotation in conjunction with #SpringBootApplication annotation.

How to set up a spring based java library?

I am trying to create a java library that uses spring. But I am not able to find any resources that shows you how to set up component scan and load all beans when you do not have a main entry point into the application.
A common approach used by spring is to define a #EnableXXXX and let the client of your library to enable it by annotating it on their configuration class. Something like :
public #interface EnableFooLibaray{
public class FooLibarayConfiguration{
And client enables your library by :
public class Application{
The #Import actually supports a more dynamic way to include the bean settings for your library. You can refer to many existing #EnableXXX provided by spring such as #EnableAsync , #EnableWebSecurity , #EnableTransactionManagement , #EnableCaching etc. for many examples.

Does #ComponentScan override #SpringBootApplication?

**Attached: calculated molecules:**
=====
No. 1
{
  "formula": "C28H26BN8O4ReS2",
  "method": "ωB97M-V/def2-TZVPD",
  "elements": ["Re", "O", "C", "O", "C", "C", "C", "N", "C", "C", "C", "C", "C", "C", "C", "N", "C", "C", "C", "C", "C", "N", "H", "H", "H", "H", "H", "H", "H", "H", "H", "H", "C", "N", "C", "C", "N", "B", "N", "C", "C", "N", "C", "C", "S", "C", "S", "H", "H", "H", "H", "H", "H", "H", "H", "H", "H", "H", "H", "O", "C", "C", "C", "C", "O", "N", "H", "H", "H", "H"],
  "positions_angstrom": [[-0.29372, -0.16069, -0.33683], [2.81513, -6.10239, -2.59713], [1.58546, -5.98269, -2.45486], [0.62681, -6.75959, -2.60958], [1.15522, -4.55997, -2.04919], [-0.16773, -4.25935, -1.74256], [-0.49136, -3.02332, -1.25478], [0.42109, -2.01844, -1.08418], [1.69474, -2.31010, -1.40793], [2.07967, -3.55085, -1.86394], [2.62869, -1.23321, -1.12728], [3.96121, -1.29513, -1.50423], [4.80691, -0.27248, -1.12661], [4.28396, 0.76408, -0.37507], [2.93757, 0.76274, -0.07252], [2.08808, -0.20969, -0.44915], [-1.80287, -2.74443, -0.67793], [-2.91584, -3.55890, -0.80840], [-4.03894, -3.27020, -0.06269], [-4.01360, -2.19453, 0.82016], [-2.89423, -1.40016, 0.85961], [-1.81009, -1.64375, 0.08953], [-0.88429, -5.06398, -1.84997], [3.11427, -3.81356, -2.04574], [4.32648, -2.12743, -2.08642], [5.85176, -0.29385, -1.40743], [4.89865, 1.58614, -0.03581], [2.51996, 1.58744, 0.47210], [-2.88839, -4.41078, -1.47148], [-4.91938, -3.89412, -0.14613], [-4.84912, -1.97266, 1.46925], [-2.82616, -0.55688, 1.53231], [-1.61931, 4.28426, -1.71676], [-1.20690, 4.08469, -0.32921], [-1.64279, 4.84801, 0.72985], [-0.96403, 4.41778, 1.81095], [-0.09086, 3.41666, 1.41953], [1.10096, 3.19194, 2.46020], [1.87535, 1.80709, 2.49603], [3.18557, 1.81088, 2.93519], [3.59107, 0.52851, 3.06612], [2.52510, -0.26099, 2.69774], [2.53741, -1.72619, 2.67185], [1.49763, 0.54041, 2.36758], [-0.09772, -0.01636, 1.92315], [-0.27983, 3.20572, 0.11179], [0.48956, 2.06162, -0.95562], [-2.63480, 4.67141, -1.71906], [-1.57071, 3.34120, -2.25074], [-0.96125, 4.99505, -2.21208], [-2.39002, 5.61491, 0.61886], [-1.00399, 4.74827, 2.83327], [1.95893, 4.00503, 2.20965], [0.59803, 3.36120, 3.54340], [3.70809, 2.73366, 3.11793], [4.53333, 0.10950, 3.37400], [3.53904, -2.05737, 2.41079], [1.83633, -2.07944, 1.92146], [2.25830, -2.12431, 3.64437], [-1.54535, 0.01704, -2.31271], [-2.38973, 0.67286, -1.66367], [-3.74646, 1.17815, -2.04255], [-4.21927, 1.82666, -0.72970], [-3.10719, 1.57536, 0.29242], [-3.11097, 1.84539, 1.45747], [-2.07164, 0.89944, -0.38775], [-4.36537, 0.33567, -2.35056], [-3.67839, 1.85231, -2.89571], [-5.12948, 1.37094, -0.34069], [-4.40858, 2.89575, -0.80189]],
=====

My #SpringBootApplication annotation is present in package.
According to this article , using #SpringBootApplication annotation is equivalent to using #Configuration, #EnableAutoConfiguration, and #ComponentScan with their default attributes :-
If i supply my own #ComponentScan, does it add new packages to the default value or completely override the default ?
#SpringBootApplication annotation can component scan classes from packages under Application class belong to . Also you can add #ComponentScan to scan classes not under package Application class belongs to.
class MyApp{
the annotation #SpringBootApplication contains #EnableAutoConfiguration annotation, which will scan through your jar, class, and maven dependencies in the classpath to register beans. If you declare beans cross packages and only want to use specific beans from specific packages, then use #ComponentScan
#ComponentScan gives you a fine-grained package or class level control on what beans you declared would be registered.
The #SpringBootApplication annotation doesn't allow all the filter customizations supported by #ComponentScan. We observed in our application that spring boot was automatically loading a #Configuration class from a library outside the package hierarchy of the class annotated with #SpringBootApplication.
If you want more control, one idea is to omit the #SpringBootApplication annotation and just specify the individual annotations #Configuration, #EnableAutoConfiguration, and #ComponentScan with your desired customizations.
More information is available in Spring Boot's Documentation:
18. Using the #SpringBootApplication Annotation
Good luck

How is #ConfigurationProperties-annotated classes detected automatically with #SpringBootApplication Annotation

== Inserted here: data records ==
~~~
[1]
Here is 40 unconnected molecules or ions with the total composition H80O40 in a non-equilibrium geometry from the Open Molecules 2025 dataset. Energies are from wB97M-V/def2-TZVPD.

Net charge   0
HOMO   -9.71 eV
Gap between HOMO and LUMO   0.336 Ha
Total energy   -83188.6907 eV

Element x y z (Å)
H1 -5.1888 -0.7198 -1.6384
H2 -3.7784 -0.5962 -2.1187
O1 -4.7065 -0.6991 -2.4294
H3 0.0006 -5.5137 -2.8043
H4 -1.1293 -5.4505 -1.7544
O2 -0.3058 -5.9544 -1.8762
H5 2.3751 -3.2908 3.4992
H6 2.3099 -3.8456 4.9148
O3 2.8327 -3.8442 4.1945
H7 -3.2816 1.3560 -3.4176
H8 -2.2892 2.2225 -2.9133
O4 -2.9736 1.5075 -2.6139
H9 2.7681 0.3944 -1.8982
H10 4.0121 1.2979 -1.6019
O5 3.3391 1.1112 -2.0279
H11 2.7285 0.1765 2.8148
O6 2.6069 -0.4263 3.5982
H12 -4.8173 1.9024 3.2977
O7 -4.3579 1.1095 3.5018
H13 0.6893 -4.5755 -4.5486
H14 -0.4991 -3.8448 -4.6771
O8 -0.2164 -4.8791 -4.5925
H15 5.5976 -0.0946 3.5975
H16 4.4758 -0.6758 4.4254
O9 5.3597 -0.8401 4.0516
H17 -2.7992 -1.4646 0.1409
H18 -3.3585 -0.0878 -0.0919
O10 -2.8981 -0.7787 -0.4921
H19 -4.1551 2.3632 -0.4678
H20 -5.1276 2.8173 -1.6732
O11 -4.9671 2.8455 -0.7543
H21 -0.4201 3.2275 -3.0796
O12 -1.2675 3.1310 -3.4891
H22 -3.6865 -4.7696 -1.7353
H23 -2.8042 -3.4562 -2.1137
O13 -2.8888 -4.3560 -2.2638
H24 -3.5103 -4.8379 3.4408
H25 -2.5803 -4.5164 2.3701
O14 -3.0889 -4.0652 3.1956
H26 3.3094 5.8454 -1.9365
H27 3.5542 4.3007 -2.3377
O15 3.0177 4.8348 -1.7885
H28 1.9950 4.1568 3.8337
H29 1.0049 3.8414 4.9345
O16 1.9453 4.2055 4.7811
H30 0.9948 2.0045 -6.1844
H31 1.0622 2.9590 -5.1155
O17 0.8047 2.7903 -6.0348
H32 0.8816 1.8922 -0.5122
H33 1.2534 3.3071 -0.5461
O18 0.9326 2.5602 -1.0913
H34 3.8769 -0.1049 0.6557
O19 2.9884 -0.2119 0.6450
H35 -4.8000 -4.7194 0.6761
H36 -3.6727 -5.8302 0.7863
O20 -3.8502 -5.0096 0.2449
H37 1.4259 -4.5042 3.3766
O21 1.3776 -4.7721 2.4270
H38 -0.1861 6.4792 0.2837
H39 -0.4924 5.3852 -0.6296
O22 -0.0743 5.5716 0.2734
H40 -1.6629 2.6374 5.7130
H41 -0.6062 1.7862 6.1769
O23 -0.7521 2.3691 5.3612
H42 2.4001 2.1552 -3.1667
H43 3.3079 3.1677 -3.9365
O24 2.3924 2.9892 -3.7013
H44 -0.4747 0.1547 1.4238
H45 0.0758 -0.6503 2.5484
O25 0.0011 0.3018 2.2965
H46 0.3305 4.8786 -3.4312
H47 1.4271 4.9873 -2.2332
O26 0.4658 5.1538 -2.5272
H48 3.6368 -3.8481 -0.7869
H49 3.1587 -3.2864 0.5180
O27 3.9443 -3.1986 -0.1061
H50 -0.7140 0.5145 -2.3326
H51 -1.8658 -0.0119 -2.2648
O28 -0.9316 -0.3740 -2.1970
H52 5.5745 3.3970 0.2731
H53 5.1910 2.8076 1.6840
O29 4.9223 3.4525 0.9970
H54 2.8650 -2.4186 -2.3484
H55 2.7379 -2.8260 -3.7883
O30 3.3758 -3.0241 -3.1093
H56 -4.2455 -0.4380 2.4904
H57 -5.1615 -1.7067 2.7595
O31 -4.7304 -1.2554 2.0237
H58 0.8925 0.1137 -3.6176
O32 0.3789 0.5915 -4.1900
H59 -0.0209 4.8495 2.0417
H60 0.6466 5.5174 3.1934
O33 0.4280 4.7348 2.8365
H61 2.6123 0.8064 0.6447
H62 2.6485 0.0416 4.3889
H63 0.8009 -5.4710 2.1841
H64 -3.4300 1.4686 3.3789
H65 -1.2453 3.3878 -4.4195
H66 0.3341 0.5506 -5.0624
O34 0.8455 -1.3738 -0.8776
H67 -0.0972 -1.2967 -0.6238
H68 1.3729 -1.2054 -0.0592
~~~

I am learning Spring Boot and have a question with one example in the reference documentation.
Following section of the documentation mentions
6. Using the #SpringBootApplication Annotation
A single #SpringBootApplication annotation can be used to enable those
three features, that is:
#EnableAutoConfiguration: enable Spring Boot’s auto-configuration
#ComponentScan: enable #Component scan on the package where the
application is located (see the best practices)
#Configuration: allow to register extra beans in the context or import
additional configuration classes
and the following example to replace this single annotation by any of the features that it enables is bit confusing for me . The example
package com.example.myapplication;
import org.springframework.boot.SpringApplication;
import org.springframework.context.annotation.ComponentScan
import org.springframework.context.annotation.Configuration;
import org.springframework.context.annotation.Import;
#Configuration(proxyBeanMethods = false)
#Import({ MyConfig.class, MyAnotherConfig.class })
public class Application {
public static void main(String[] args) {, args);
Explanation for the example
In this example, Application is just like any other Spring Boot
application except that #Component-annotated classes and
#ConfigurationProperties-annotated classes are not detected
automatically and the user-defined beans are imported explicitly (see
The only major difference I see in the example code above is that it does not have #ComponentScan annotation. I also read in the comments section of an SO answer (Stephane Nicoll May 5 '17 at 11:07) that #Component annotation is not recommended officially to auto detect #ConfigurationProperties. So my assumption is that Spring framework classes with #ConfigurationProperties are not annotated with #Component.
Also I checked the #SpringBootApplication annotation source and couldn't identify anything that should enable the automatic detection of #ConfigurationProperties annotated classes.
The reference document 2.8.3. Enabling #ConfigurationProperties-annotated types section shows the following way to scan and autodetect #ConfigurationProperties
#ConfigurationPropertiesScan({ "", "org.acme.another" })
public class MyApplication {
With all these details , I would like to understand
Why is it explicitly mentioned for this example that #ConfigurationProperties-annotated classes are not detected automatically ? and How is #ConfigurationProperties annotated classes automatically detected when #SpringBootApplication is used.
Additional note : I saw a small difference between the prior version of the documentation and the current one. The following reference is missing the current one
Keep in mind that the #EnableConfigurationProperties annotation is
also automatically applied to your project so that any existing bean
annotated with #ConfigurationProperties is configured from the
Following is what I understand from my analysis.
#ConfigurationProperties annotated types can be registered to the ApplicationContext by
Annotating the class with #ConfigurationProperties with an
annotation that falls in the scope of #ComponentScan (
#Component, #Service and the like ) . Not recommended as per the comment from Stephane Nicoll , which makes sense to me now.
Using annotation
#EnableConfigurationProperties . For this to
work the class annotated with #EnableConfigurationProperties
should be annotated with an annotation that falls in the scope of
#ComponentScan ( #Component, #Service and the like )
Using annotation #ConfigurationPropertiesScan and by making sure
the classes annotated with #ConfigurationProperties is placed
under its radar. The usage is similar to #ComponentScan .
Now , when we replace #SpringBootApplication with individual annotations that it enables and omit #ComponentScan (as in example) , the #EnableConfigurationProperties way (Point 2) of registering the types with #ConfigurationProperties will not work. This probably answers both my questions on why and how .
This was explicitly mentioned probably because the connection between #EnableConfigurationProperties and #ComponentScan is not that obvious for people like me.
Additional details.
The registration of #ConfigurationProperties annotated types when we use #EnableConfigurationProperties happens through of the EnableConfigurationPropertiesRegistrar class that is imported by the annotation
public #interface EnableConfigurationProperties {..}

where to place componentscan

I have spring mvc application with complete annotations. Where is the best place to add #componentScan? Let me know any of these recommended
class that extends AbstractAnnotationConfigDispatcherServletInitializer?
class that extend WebMvcConfigurationSupport
class that extend WebSecurityConfigurerAdapter
I placed in 2 without security and workign fine. When I added security, I got problem with security config not able to find userdetails service. Then I moved to 3.
I found other issues with security and put code to just reuturn null instead of
securityconfig object from getRootConfigClasses(). Then I got issues of controllers not found. I am able to fix it to put componenentscan in 2.
I just want to know any links and how it works. Is it ok to put #componentscan in all of these 3? Appreciate your help.
It depends on your project's package tree and what you want to scan. If you want to scan all annoted classes with such annotations like : #Configuration, #Component, #Repository, etc... put #ComponentScan at the top of your package tree.
You can also use the basePackages attribute to specify where to start the scanning.
Say you have an application packages organized like this :,,,
If you want to scan all annoted classes, put the class annoted with #ComponentScan in package.
If you want to scan only controller, add #ComponentScan(basePackages="")
It's up to you to decide.
